
Principales publications

_Crystal structures that have nothing to do with the piece_
........
AgBF4: optimized geometry, r²SCAN.

Summary:
The formation energy is -2.47 eV per atom.

Unit cell a=5.241 b=6.686 c=8.001 alpha=90.00 beta=90.00 gamma=90.00
Fractional coordinates of all 24 atoms:
F 0.750 0.051 0.300
F 0.750 0.416 0.087
B 0.750 0.315 0.934
F 0.750 0.084 0.587
F 0.531 0.191 0.923
F 0.250 0.551 0.200
F 0.469 0.809 0.077
B 0.750 0.185 0.434
F 0.031 0.691 0.577
F 0.969 0.191 0.923
B 0.250 0.685 0.066
Ag 0.250 0.167 0.179
F 0.250 0.584 0.913
F 0.969 0.309 0.423
Ag 0.750 0.667 0.321
F 0.750 0.449 0.800
F 0.031 0.809 0.077
F 0.469 0.691 0.577
F 0.531 0.309 0.423
F 0.250 0.949 0.700
Ag 0.750 0.833 0.821
F 0.250 0.916 0.413
B 0.250 0.815 0.566
Ag 0.250 0.333 0.679
........
_So much for the crystal structures_

Vucurovic, K., Raucher-Chéné, D., Obert, A., Gobin, P., Henry, A., Barrière, S., Traykova, M., Gierski, F., Portefaix, C., Caillies, S., Kaladjian, A. (2023). Activation of left medial temporal gyrus and adjacent brain areas during affective theory of mind processing correlates with trait-schizotypy in a nonclinical population. Social Cognitive and Affective Neuroscience. 18(1):nsac051.

Gierski, F., Benzerouk, F., Jeanblanc, J., Angerville, B., Dervaux, Kaladjian, A., Naassila, M. (2022). Validity and usefulness of the short form of the Drinking Motives Questionnaire Revised (DMQ-R SF) among patients with schizophrenia. Addictive Behaviours. 129:107251.

Benzerouk, F., Djerada, Z., Naassila, M., Barrière, S., Kaladjian, A., Gierski, F. (2022). Role of Impulsivity and Emotion Dysregulation Dimensions on Core Characteristics of Binge Drinking among University Students. Psychologica Belgica. 62(1):286-296.

Perotin, JM., Gierski, F., Bolko, L., Dury, S., Barrière, S., Launois, C., Dewolf, M., Chouabe, S., Bongrain, E., Picard, D., Tran, E., N'Guyen, Y., Mourvillier, B., Servettaz, A., Rapin, A., Marcus, C., Lebargy, F., Kaladjian, A., Salmon, JH., Deslee, G. (2022). Cluster analysis unveils a severe persistent respiratory impairment phenotype 3-months after severe COVID-19. Respiratory Research. 23(1):199.

Henry, A., Raucher-Chéné, D., Obert, A., Gobin, P., Vucurovic, K., Barrière, S., Sacré, S., Portefaix, C., Gierski, F., Caillies, S., Kaladjian, A. (2021). Investigation of the neural correlates of mentalizing through the Dynamic Inference Task, a new naturalistic task of social cognition. Neuroimage. 243:118499.

Schmid, F., Benzerouk, F., Barrière, S., Henry, A., Limosin, F., Kaladjian, A. Gierski, F. (2021). Heterogeneity of executive function abilities in recently detoxified patients with alcohol use disorder: Evidence from a cluster analysis. Alcoholism: Clinical and Experimental Research. 45(1):163-173.

Raucher-Chéné, D., Obert, A., Gierski, F., Benzerouk, F., Terrien, S., Barrière, S., Portefaix, C., Besche-Richard, C., & Kaladjian, A. (2021). Neural correlates of semantic ambiguity resolution in paucisymptomatic bipolar disorder patients. Psychiatry research. Neuroimaging. 316:111346.

Benzerouk, F., Djerada, Z., Bertin, E., Barrière, S., Gierski, F., & Kaladjian, A. (2020). Contributions of Emotional Overload, Emotion Dysregulation, and Impulsivity to Eating Patterns in Obese Patients with Binge Eating Disorder and Seeking Bariatric Surgery. Nutrients. 12(10):3099.
